**Source:**
........
No. 1
The following is a GGA-PBE calculation of Cr3AgPd12 after structural relaxation, from the Alexandria database.

It has space group P4/mmm (No. 123), with a = 3.9310 Å, b = 3.9310 Å, c = 15.7065 Å, α = 90.00°, β = 90.00° and γ = 90.00°. The asymmetric unit holds Cr at (0.0000, 0.0000, 0.0000), Cr at (0.0000, 0.0000, 0.2467), Ag at (0.0000, 0.0000, 0.5000), Pd at (0.0000, 0.5000, 0.1236), Pd at (0.0000, 0.5000, 0.3683), Pd at (0.5000, 0.5000, 0.0000), Pd at (0.5000, 0.5000, 0.2463) and Pd at (0.5000, 0.5000, 0.5000).

The calculation puts the density of states at the Fermi level at 1.72 states/eV/atom. The calculation puts the total magnetic moment at 0.53 μB/atom. Its energy of formation from the pure elements is -0.06 eV per atom.

---

No. 2
The following is a GGA-PBE calculation of CrAg2Pd after structural relaxation, from the Alexandria database.

It has space group Fm-3m (No. 225), with a = 6.3389 Å, b = 6.3389 Å, c = 6.3389 Å, α = 90.00°, β = 90.00° and γ = 90.00°. The asymmetric unit holds Cr at (0.0000, 0.0000, 0.0000), Ag at (0.2500, 0.2500, 0.2500) and Pd at (0.0000, 0.0000, 0.5000).

The calculation puts the density of states at the Fermi level at 1.48 states/eV/atom. The calculation puts the total magnetic moment at 0.06 μB/atom. Its energy of formation from the pure elements is 0.59 eV per atom. The value obtained for the energy relative to the lowest polymorph listed for this composition is 0.096 eV per atom.

---

No. 3
The following is a GGA-PBE calculation of CrAg2Pd9 after structural relaxation, from the Alexandria database.

It has space group P4/mmm (No. 123), with a = 3.9645 Å, b = 3.9645 Å, c = 11.9020 Å, α = 90.00°, β = 90.00° and γ = 90.00°. The asymmetric unit holds Cr at (0.0000, 0.0000, 0.0000), Ag at (0.0000, 0.0000, 0.3307), Pd at (0.0000, 0.5000, 0.1588), Pd at (0.0000, 0.5000, 0.5000), Pd at (0.5000, 0.5000, 0.0000) and Pd at (0.5000, 0.5000, 0.3295).

The calculation puts the density of states at the Fermi level at 1.49 states/eV/atom. The calculation puts the total magnetic moment at 0.28 μB/atom. Its energy of formation from the pure elements is -0.03 eV per atom.

---

No. 4
The following is a GGA-PBE calculation of CrAgPd4 after structural relaxation, from the Alexandria database.

It has space group Pmmm (No. 47), with a = 2.8366 Å, b = 3.8641 Å, c = 8.4908 Å, α = 90.00°, β = 90.00° and γ = 90.00°. The asymmetric unit holds Cr at (0.0000, 0.0000, 0.0000), Ag at (0.5000, 0.5000, 0.5000), Pd at (0.0000, 0.0000, 0.3233) and Pd at (0.5000, 0.5000, 0.1578).

The calculation puts the density of states at the Fermi level at 0.93 states/eV/atom. The calculation puts the total magnetic moment at 0.52 μB/atom. Its energy of formation from the pure elements is -0.01 eV per atom.

---

No. 5
The following is a GGA-PBE calculation of CrAgPd14 after structural relaxation, from the Alexandria database.

It has space group P4/mmm (No. 123), with a = 5.6041 Å, b = 5.6041 Å, c = 7.8511 Å, α = 90.00°, β = 90.00° and γ = 90.00°. The asymmetric unit holds Cr at (0.0000, 0.0000, 0.0000), Ag at (0.5000, 0.5000, 0.0000), Pd at (0.0000, 0.0000, 0.5000), Pd at (0.0000, 0.5000, 0.0000), Pd at (0.0000, 0.5000, 0.5000), Pd at (0.2462, 0.2462, 0.2479) and Pd at (0.5000, 0.5000, 0.5000).

The calculation puts the density of states at the Fermi level at 1.92 states/eV/atom. The calculation puts the total magnetic moment at 0.06 μB/atom. Its energy of formation from the pure elements is -0.01 eV per atom.

---

No. 6
The following is a GGA-PBE calculation of CrAg2Pd5 after structural relaxation, from the Alexandria database.

It has space group I4/mmm (No. 139), with a = 3.9802 Å, b = 3.9802 Å, c = 15.8808 Å, α = 90.00°, β = 90.00° and γ = 90.00°. The asymmetric unit holds Cr at (0.0000, 0.0000, 0.0000), Ag at (0.0000, 0.0000, 0.2503), Pd at (0.0000, 0.0000, 0.5000) and Pd at (0.0000, 0.5000, 0.1185).
........

**Work order:**
Please type out all of the calculation results above unchanged.

**Response:**
No. 1
The following is a GGA-PBE calculation of Cr3AgPd12 after structural relaxation, from the Alexandria database.

It has space group P4/mmm (No. 123), with a = 3.9310 Å, b = 3.9310 Å, c = 15.7065 Å, α = 90.00°, β = 90.00° and γ = 90.00°. The asymmetric unit holds Cr at (0.0000, 0.0000, 0.0000), Cr at (0.0000, 0.0000, 0.2467), Ag at (0.0000, 0.0000, 0.5000), Pd at (0.0000, 0.5000, 0.1236), Pd at (0.0000, 0.5000, 0.3683), Pd at (0.5000, 0.5000, 0.0000), Pd at (0.5000, 0.5000, 0.2463) and Pd at (0.5000, 0.5000, 0.5000).

The calculation puts the density of states at the Fermi level at 1.72 states/eV/atom. The calculation puts the total magnetic moment at 0.53 μB/atom. Its energy of formation from the pure elements is -0.06 eV per atom.

---

No. 2
The following is a GGA-PBE calculation of CrAg2Pd after structural relaxation, from the Alexandria database.

It has space group Fm-3m (No. 225), with a = 6.3389 Å, b = 6.3389 Å, c = 6.3389 Å, α = 90.00°, β = 90.00° and γ = 90.00°. The asymmetric unit holds Cr at (0.0000, 0.0000, 0.0000), Ag at (0.2500, 0.2500, 0.2500) and Pd at (0.0000, 0.0000, 0.5000).

The calculation puts the density of states at the Fermi level at 1.48 states/eV/atom. The calculation puts the total magnetic moment at 0.06 μB/atom. Its energy of formation from the pure elements is 0.59 eV per atom. The value obtained for the energy relative to the lowest polymorph listed for this composition is 0.096 eV per atom.

---

No. 3
The following is a GGA-PBE calculation of CrAg2Pd9 after structural relaxation, from the Alexandria database.

It has space group P4/mmm (No. 123), with a = 3.9645 Å, b = 3.9645 Å, c = 11.9020 Å, α = 90.00°, β = 90.00° and γ = 90.00°. The asymmetric unit holds Cr at (0.0000, 0.0000, 0.0000), Ag at (0.0000, 0.0000, 0.3307), Pd at (0.0000, 0.5000, 0.1588), Pd at (0.0000, 0.5000, 0.5000), Pd at (0.5000, 0.5000, 0.0000) and Pd at (0.5000, 0.5000, 0.3295).

The calculation puts the density of states at the Fermi level at 1.49 states/eV/atom. The calculation puts the total magnetic moment at 0.28 μB/atom. Its energy of formation from the pure elements is -0.03 eV per atom.

---

No. 4
The following is a GGA-PBE calculation of CrAgPd4 after structural relaxation, from the Alexandria database.

It has space group Pmmm (No. 47), with a = 2.8366 Å, b = 3.8641 Å, c = 8.4908 Å, α = 90.00°, β = 90.00° and γ = 90.00°. The asymmetric unit holds Cr at (0.0000, 0.0000, 0.0000), Ag at (0.5000, 0.5000, 0.5000), Pd at (0.0000, 0.0000, 0.3233) and Pd at (0.5000, 0.5000, 0.1578).

The calculation puts the density of states at the Fermi level at 0.93 states/eV/atom. The calculation puts the total magnetic moment at 0.52 μB/atom. Its energy of formation from the pure elements is -0.01 eV per atom.

---

No. 5
The following is a GGA-PBE calculation of CrAgPd14 after structural relaxation, from the Alexandria database.

It has space group P4/mmm (No. 123), with a = 5.6041 Å, b = 5.6041 Å, c = 7.8511 Å, α = 90.00°, β = 90.00° and γ = 90.00°. The asymmetric unit holds Cr at (0.0000, 0.0000, 0.0000), Ag at (0.5000, 0.5000, 0.0000), Pd at (0.0000, 0.0000, 0.5000), Pd at (0.0000, 0.5000, 0.0000), Pd at (0.0000, 0.5000, 0.5000), Pd at (0.2462, 0.2462, 0.2479) and Pd at (0.5000, 0.5000, 0.5000).

The calculation puts the density of states at the Fermi level at 1.92 states/eV/atom. The calculation puts the total magnetic moment at 0.06 μB/atom. Its energy of formation from the pure elements is -0.01 eV per atom.

---

No. 6
The following is a GGA-PBE calculation of CrAg2Pd5 after structural relaxation, from the Alexandria database.

It has space group I4/mmm (No. 139), with a = 3.9802 Å, b = 3.9802 Å, c = 15.8808 Å, α = 90.00°, β = 90.00° and γ = 90.00°. The asymmetric unit holds Cr at (0.0000, 0.0000, 0.0000), Ag at (0.0000, 0.0000, 0.2503), Pd at (0.0000, 0.0000, 0.5000) and Pd at (0.0000, 0.5000, 0.1185).